**Entries**
<<<
Molecular formula: C4H14N3
Method: DFT, wB97M-V/def2-TZVPD

Output
- LUMO energy (eV) = -3.06
- energy (hartree) = -324.80022
- largest force on an atom (eV/Å) = 1.484
- ΔE to the lowest compared entry with this formula, charge and spin (eV) = 1.759
- charge = +1
- orbital gap (eV) = 9.5849

Atoms and positions in Å:
N -1.30228 1.29062 0.78662
H 0.74229 -1.44340 0.51850
C 0.44844 -1.18141 -1.61905
H -1.64502 -1.87207 1.00628
N -1.34416 -1.38068 0.16592
H -2.01282 -1.54646 -0.59022
H 0.28050 2.27373 2.80801
H 2.42941 -1.06993 -1.09418
C 0.68696 2.25755 1.80105
N 1.70309 -0.45734 -1.44448
H -1.86164 1.74166 0.06938
H 0.48032 -1.97813 -2.36739
H 2.05917 -0.11863 -2.33185
C 0.03672 -1.75028 -0.25041
H -1.45869 -0.27245 0.29593
H -1.76412 1.55449 1.65201
H 0.08322 -2.83780 -0.32058
C 0.07504 1.67367 0.77450
H -0.31146 -0.47264 -1.97682
H 0.63075 1.34175 -0.09603
H 1.62577 2.77810 1.66557

Forces on the atoms, in the same order (eV/Å):
-0.694 -0.756 0.049
-0.192 0.241 0.067
-0.142 0.433 0.240
-0.035 0.084 -0.066
-0.467 1.148 -0.816
0.083 -0.607 0.158
-0.408 0.489 -0.220
0.005 -0.102 0.096
-0.103 -0.064 -0.090
0.080 0.071 -0.259
0.404 0.282 -0.225
0.041 -0.090 0.089
-0.139 0.082 -0.017
0.280 -0.841 -0.476
0.631 -0.596 0.927
0.187 -0.089 0.154
-0.125 0.010 0.253
0.294 0.391 0.363
0.106 -0.003 0.083
-0.150 0.611 -0.351
0.344 -0.694 0.041

***

Molecular formula: C18H31Cl2CoN4O4
Method: DFT, wB97M-V/def2-TZVPD

Output
- LUMO energy (alpha / beta) (eV) = 0.43 / -1.18
- energy (hartree) = -3527.66604
- largest force on an atom (eV/Å) = 3.254
- ΔE to the lowest compared entry with this formula, charge and spin (eV) = 0.000
- orbital gap (alpha / beta) (eV) = 8.3609 / 6.7076
- multiplicity = 5

Atoms and positions in Å:
C 0.20101 0.95320 -2.59766
H 1.84455 -4.85823 -0.28063
H 0.81750 5.67498 0.44484
C 0.43575 -0.35438 -3.26209
C -1.99842 1.40217 -3.75613
O 0.79159 -1.67325 -0.01600
H -5.62694 -2.48559 2.48829
C 1.40617 1.51753 -1.65506
H -2.17778 -3.70329 3.44437
C -4.95808 -1.81247 3.04690
C 1.44555 3.04388 -1.62312
H 2.13940 -4.39144 -1.96502
C -2.63058 -1.54814 2.29308
O 0.77752 0.01369 2.05110
C 2.04149 -1.81508 -0.04693
C 1.09309 5.14645 -0.47142
H 1.39477 6.93548 -1.65420
H -3.51709 -3.50460 4.62763
H 4.51800 -2.13327 -0.37103
N 2.59747 -2.91290 -0.56767
H -0.73141 0.77445 4.74855
N 1.32266 -0.51817 4.18980
Cl -1.83212 -0.94487 -0.92407
N -0.56351 0.73698 3.75933
H 2.07302 3.15148 -3.66172
H -5.03501 -0.79951 2.63337
H 1.20937 -0.35275 5.17289
Cl -1.49026 1.63304 0.96855
H 0.85375 3.19668 0.44380
C 0.51007 0.08502 3.27297
C 1.80502 3.73841 -2.77935
O 1.39553 1.05050 -0.40302
H 0.12791 -0.33753 -4.31205
C -0.85063 1.75082 -2.86982
H 2.30838 1.17471 -2.19649
C 1.41815 5.84298 -1.64140
H -3.82473 -4.33495 3.09403
C 1.78639 5.13551 -2.79764
H 2.74386 -1.05075 0.33620
H -0.88148 2.76921 -2.46849
H 1.49702 -0.60793 -3.23495
C 1.77160 -4.03119 -0.99928
H -1.88086 0.42591 -4.25542
H -1.15503 1.23889 3.09522
C -3.24567 -3.52492 3.56268
H 0.73365 -3.70242 -1.07933
H 2.05836 5.66644 -3.71423
H -5.28242 -1.80848 4.09324
O -1.44124 -1.87983 2.23215
H -3.02528 -0.63773 1.79975
H -2.16966 2.15841 -4.53772
H 4.33197 -3.36059 -1.66555
N -3.57811 -2.25040 2.95528
H 4.38362 -3.87220 0.03628
H -0.13653 -1.14685 -2.76658
Co -0.24538 -0.01150 0.19974
H -2.91964 1.36004 -3.15655
C 1.11722 3.74673 -0.45978
H 2.20466 -0.87585 3.84558
C 4.04177 -3.08252 -0.64516

Forces on the atoms, in the same order (eV/Å):
0.493 2.176 0.491
-0.044 0.182 -0.078
0.092 -0.066 -0.363
-0.012 -0.617 -0.014
-0.357 -0.391 -0.253
2.310 -0.969 -0.238
0.163 0.185 0.094
-0.998 0.686 -2.350
-0.143 0.004 0.016
0.121 0.026 -0.276
-0.070 0.161 -0.122
-0.125 0.088 0.073
0.857 -0.243 -0.063
0.213 -0.164 1.290
-1.307 0.021 -0.214
0.137 -0.169 -0.285
0.013 -0.349 -0.005
0.160 -0.034 -0.153
-0.013 -0.301 -0.109
0.099 0.072 0.227
-0.069 0.044 -0.108
0.240 -0.077 -0.424
-0.925 -0.492 -0.364
0.150 0.002 -0.035
-0.064 0.314 0.128
-0.079 -0.263 0.116
0.100 0.021 -0.036
-0.859 0.987 0.111
>>>

**Exercise**
Your job: find "-2.91964 1.36004" and "-0.364" in the listing further above, and write out these two lines and those between.

**Reply**
H -2.91964 1.36004 -3.15655
C 1.11722 3.74673 -0.45978
H 2.20466 -0.87585 3.84558
C 4.04177 -3.08252 -0.64516

Forces on the atoms, in the same order (eV/Å):
0.493 2.176 0.491
-0.044 0.182 -0.078
0.092 -0.066 -0.363
-0.012 -0.617 -0.014
-0.357 -0.391 -0.253
2.310 -0.969 -0.238
0.163 0.185 0.094
-0.998 0.686 -2.350
-0.143 0.004 0.016
0.121 0.026 -0.276
-0.070 0.161 -0.122
-0.125 0.088 0.073
0.857 -0.243 -0.063
0.213 -0.164 1.290
-1.307 0.021 -0.214
0.137 -0.169 -0.285
0.013 -0.349 -0.005
0.160 -0.034 -0.153
-0.013 -0.301 -0.109
0.099 0.072 0.227
-0.069 0.044 -0.108
0.240 -0.077 -0.424
-0.925 -0.492 -0.364